Entries >
'''
Entry a
# LiAl4Zn2O8 | the Materials Project database | PBE-GGA | relaxed
# Size of the total moment in Bohr magnetons per cell: 0.00
# Space group: C2/m (12)
data_LiAl4Zn2O8
_space_group_name_H-M_alt 'P 1'
_space_group_IT_number 1
_cell_length_a 5.7900
_cell_length_b 5.7750
_cell_length_c 6.0056
_cell_angle_alpha 61.26
_cell_angle_beta 62.40
_cell_angle_gamma 60.09
loop_
_space_group_symop_operation_xyz
'x,y,z'
loop_
_atom_site_label
_atom_site_type_symbol
_atom_site_fract_x
_atom_site_fract_y
_atom_site_fract_z
O1 O 0.7094 0.7469 0.2967
O2 O 0.2593 0.2284 0.2564
O3 O 0.2906 0.2531 0.7033
O4 O 0.7388 0.2402 0.2809
O5 O 0.2612 0.7598 0.7191
O6 O 0.7407 0.7716 0.7436
O7 O 0.2593 0.7559 0.2564
O8 O 0.7407 0.2441 0.7436
Zn1 Zn 0.0000 0.5000 0.5000
Zn2 Zn 0.5000 0.5000 0.0000
Al1 Al 0.8533 0.8568 0.9331
Al2 Al 0.5000 0.5000 0.5000
Al3 Al 0.5000 0.0000 0.5000
Al4 Al 0.1467 0.1432 0.0669
Li1 Li 0.0000 0.0000 0.5000

***

Entry b
# LiAl4Zn2O8 | the Materials Project database | PBE-GGA | relaxed
# Size of the total moment in Bohr magnetons per cell: 0.00
# Space group: Imm2 (44)
data_LiAl4Zn2O8
_space_group_name_H-M_alt 'P 1'
_space_group_IT_number 1
_cell_length_a 6.0423
_cell_length_b 5.8496
_cell_length_c 6.0423
_cell_angle_alpha 61.05
_cell_angle_beta 56.90
_cell_angle_gamma 61.05
loop_
_space_group_symop_operation_xyz
'x,y,z'
loop_
_atom_site_label
_atom_site_type_symbol
_atom_site_fract_x
_atom_site_fract_y
_atom_site_fract_z
O1 O 0.7329 0.7687 0.7329
O2 O 0.2819 0.2261 0.2819
O3 O 0.2819 0.7100 0.2819
O4 O 0.2514 0.7581 0.7324
O5 O 0.7329 0.2656 0.7329
O6 O 0.7676 0.2159 0.3007
O7 O 0.3007 0.2159 0.7676
O8 O 0.7324 0.7581 0.2514
Al1 Al 0.5163 0.4902 0.5163
Al2 Al 0.8535 0.8965 0.8535
Al3 Al 0.5163 0.9772 0.5163
Al4 Al 0.1612 0.0888 0.1612
Zn1 Zn 0.5908 0.4395 0.0302
Zn2 Zn 0.0302 0.4395 0.5908
Li1 Li 0.1250 0.6250 0.1250

***

entry b takes first place; second place is 0.019 eV/atom up.

=====

The following is a PBE with a Hubbard U calculation of a relaxed structure of Sr4LaMn5O13, from the Materials Project database.

magnetization	0.87	μB per atom
formation enthalpy at 0 K	-2.66	eV/atom
distance to the lowest polymorph of the same formula	0.000	eV per atom

Cell lengths 3.894, 8.796, 8.843 Å; angles 89.39, 90.00, 90.00 degrees
Atoms (fractional coordinates):
Sr 0.500 0.888 0.285
Sr 0.500 0.117 0.717
Sr 0.500 0.280 0.118
Sr 0.500 0.496 0.497
La 0.500 0.722 0.883
Mn 0.000 0.003 0.001
Mn 0.000 0.803 0.592
Mn 0.000 0.196 0.406
Mn 0.000 0.596 0.194
Mn 0.000 0.403 0.807
O 0.000 0.776 0.060
O 0.000 0.218 0.928
O 0.000 0.071 0.225
O 0.000 0.920 0.778
O 0.500 0.585 0.153
O 0.500 0.428 0.840
O 0.500 0.828 0.585
O 0.500 0.167 0.423
O 0.000 0.608 0.726
O 0.000 0.399 0.287
O 0.000 0.708 0.397
O 0.000 0.294 0.602
O 0.500 0.992 0.997

=====

[1]
Below is crystalline FeCo3O8 at its relaxed geometry, with properties calculated at the PBE+U level.

Summary:
**Size of the total moment**: 20.00 μB per cell
**DFT formation energy**: -1.033 eV/atom

```
FeCo3O8
1.0
7.993 0.000 0.000
0.012 8.005 0.000
0.006 0.005 8.007
Fe Co O
4 12 32
Direct
0.000 0.000 0.000
0.250 0.250 0.500
0.500 0.751 0.250
0.750 0.500 0.750
0.000 0.500 0.500
0.000 0.750 0.750
0.001 0.249 0.250
0.249 0.001 0.750
0.250 0.751 0.001
0.251 0.500 0.251
0.499 0.000 0.500
0.500 0.251 0.750
0.501 0.501 0.000
0.749 0.750 0.500
0.750 0.000 0.249
0.751 0.251 0.999
0.013 0.765 0.986
0.013 0.986 0.765
0.015 0.264 0.486
0.018 0.482 0.268
0.232 0.768 0.768
0.235 0.987 0.986
0.236 0.485 0.487
0.238 0.264 0.265
0.263 0.016 0.514
0.263 0.237 0.735
0.265 0.736 0.237
0.268 0.518 0.018
0.482 0.019 0.732
0.485 0.236 0.514
0.486 0.737 0.015
0.488 0.516 0.236
0.513 0.764 0.485
0.513 0.985 0.263
0.515 0.487 0.764
0.518 0.269 0.982
0.732 0.982 0.482
0.735 0.764 0.264
0.736 0.265 0.763
0.738 0.487 0.984
0.763 0.735 0.736
0.764 0.514 0.515
0.765 0.015 0.013
0.768 0.233 0.232
0.982 0.732 0.518
0.985 0.514 0.736
0.986 0.013 0.235
0.988 0.235 0.014
```



[2]
'''

Wanted >
Work out how many lines further above have the word "Al2" in them; a number is enough.

Completed >
2